**File:**
+++
Computed, not measured: a molecular structure, C52H44GeN3O5RuS4 at a distorted geometry, with the ωB97M-V functional and the def2-TZVPD basis.

The geometry in ORCA input format:
```
! wB97M-V def2-TZVPD RIJCOSX def2/J DEFGRID3
* xyz 0 2
Ru -0.32444 0.36155 0.04072
Ge 0.07199 1.04855 -2.28384
S 3.03556 -4.38006 1.70018
S -1.29173 7.20036 0.31908
S 1.99687 -2.60100 6.42417
S 2.11339 -0.70163 0.05416
O -0.01404 -1.63509 -1.01201
O -2.19185 1.10822 -0.48595
O 3.72907 -5.11291 0.68478
O -4.06597 1.66931 -1.49512
O 2.26144 -5.08520 2.67110
N -0.32462 2.16986 0.95578
N 2.08745 -3.21624 0.94464
N -0.00609 -0.13475 2.37673
C -3.27349 0.80955 -1.11450
C 1.23836 5.11049 -2.92003
C 0.11587 5.67209 -3.51752
C -4.48541 -3.30127 -1.70118
C -4.16230 -2.82351 -0.43693
C 0.11372 2.96470 -2.77370
C -0.20865 3.48239 2.97474
C 0.70528 -0.07204 5.06018
C -0.75555 -2.82387 -1.36482
C 0.91780 -2.54488 5.07133
C -1.00690 3.54619 -3.36855
C 0.10718 3.51937 4.37168
C -0.98405 4.48262 0.94103
C -3.02785 6.51755 -1.41776
C 0.10434 1.04904 3.02824
C -0.64191 4.61943 2.26835
C -1.00668 4.88631 -3.74283
C 0.43778 -3.78991 4.79175
C 0.43010 1.12415 4.39144
C -2.42946 7.61823 -0.88916
C -3.94397 -0.20695 -3.82745
C -1.61764 5.51987 0.12604
C 0.63082 -1.27737 4.39324
C 2.87400 0.49717 -3.19551
C 5.88117 -2.27783 3.73949
C 0.43480 2.39813 5.04637
C -0.75073 3.24474 0.32240
C 1.33460 -1.64716 -1.18507
C 1.16000 -0.56082 -4.47923
C 2.02970 -2.67705 -1.98911
C -3.26629 -1.11398 1.13513
C 4.52839 -0.84341 2.33378
C 3.46876 -0.85515 -5.09784
C 0.93003 -4.78753 5.67509
C -3.97792 -1.09829 -2.61347
C 1.51324 0.24799 -3.39650
C 3.84296 -0.04721 -4.03007
C 5.56735 -1.01921 3.24044
C -3.70696 -1.52193 -0.24413
C 4.13544 -3.20943 2.45284
C -4.94488 -4.72465 -1.89181
C -3.62397 -0.64873 -1.33597
C 0.24962 -1.24395 3.03463
C 1.77927 -4.28817 6.60905
C -0.13875 2.25811 2.29666
C -2.56494 5.30724 -0.83740
C -4.37177 -2.42670 -2.77275
C 1.23453 3.76955 -2.55520
C 3.80888 -1.96089 1.95009
C 5.16593 -3.40367 3.34351
C 2.63431 -2.06497 1.06546
C 2.12053 -1.10677 -5.32288
H 1.58427 -2.74629 -2.98057
H -0.65200 -3.02854 -2.42939
H 3.19357 1.12514 -2.36532
H -0.76959 5.56276 2.78718
H 2.11917 5.71879 -2.73899
H -4.29381 0.79288 -3.58386
H -3.58879 -0.10706 1.39038
H -2.94892 4.32180 -1.08306
H 4.28954 0.13884 1.94055
H 2.12093 3.35171 -2.08486
H -1.15937 0.57025 -3.10808
H 2.29772 -4.82190 7.39253
H -2.58813 8.65526 -1.15238
H 0.67774 2.43603 6.10292
H -0.25230 -3.99678 3.98283
H -0.38804 -3.66186 -0.77540
H -3.78028 6.56389 -2.19623
H 2.00915 -3.66224 -1.52140
H 0.10921 -0.75817 -4.67437
H 0.94927 -0.04515 6.11680
H 0.15243 -2.16609 2.47567
H 6.14394 -0.16165 3.56432
H -1.79057 -2.61817 -1.13874
H 3.06870 -2.38009 -2.12050
H 0.11561 6.71793 -3.80254
H -0.91270 3.15694 -0.73760
H 4.22087 -1.27742 -5.75324
H -4.14318 -5.43186 -1.66331
H -1.89689 2.94440 -3.52953
H 4.89195 0.16391 -3.85141
H 0.67155 -5.83679 5.59956
H -5.78236 -4.95885 -1.23143
H -4.56902 -0.62660 -4.61613
H 6.69686 -2.38355 4.44410
H 1.81654 -1.72555 -6.16004
H -2.17559 -1.11650 1.16423
H 0.07092 4.47907 4.87594
H 5.40900 -4.38853 3.72179
H -4.63684 -2.77400 -3.76834
H -5.26488 -4.90161 -2.92030
H -2.92487 -0.11382 -4.21545
H -4.24867 -3.48259 0.42397
H -1.88865 5.31874 -4.20283
H -3.63514 -1.81526 1.88649
*
```

Values from the calculation:
E: -171783.678 eV
HOMO energy (alpha / beta): -7.3 / -7.4 eV
ΔE to the lowest compared entry with this formula, charge and spin: 25.0 kcal per mole
E_LUMO (alpha / beta): -1.19 / -1.18 eV
Strongest force on any atom: 0.0253 Eh/bohr
+++
**Request:**
The reader should copy the lines earlier on word for word.
**Solution:**
Computed, not measured: a molecular structure, C52H44GeN3O5RuS4 at a distorted geometry, with the ωB97M-V functional and the def2-TZVPD basis.

The geometry in ORCA input format:
```
! wB97M-V def2-TZVPD RIJCOSX def2/J DEFGRID3
* xyz 0 2
Ru -0.32444 0.36155 0.04072
Ge 0.07199 1.04855 -2.28384
S 3.03556 -4.38006 1.70018
S -1.29173 7.20036 0.31908
S 1.99687 -2.60100 6.42417
S 2.11339 -0.70163 0.05416
O -0.01404 -1.63509 -1.01201
O -2.19185 1.10822 -0.48595
O 3.72907 -5.11291 0.68478
O -4.06597 1.66931 -1.49512
O 2.26144 -5.08520 2.67110
N -0.32462 2.16986 0.95578
N 2.08745 -3.21624 0.94464
N -0.00609 -0.13475 2.37673
C -3.27349 0.80955 -1.11450
C 1.23836 5.11049 -2.92003
C 0.11587 5.67209 -3.51752
C -4.48541 -3.30127 -1.70118
C -4.16230 -2.82351 -0.43693
C 0.11372 2.96470 -2.77370
C -0.20865 3.48239 2.97474
C 0.70528 -0.07204 5.06018
C -0.75555 -2.82387 -1.36482
C 0.91780 -2.54488 5.07133
C -1.00690 3.54619 -3.36855
C 0.10718 3.51937 4.37168
C -0.98405 4.48262 0.94103
C -3.02785 6.51755 -1.41776
C 0.10434 1.04904 3.02824
C -0.64191 4.61943 2.26835
C -1.00668 4.88631 -3.74283
C 0.43778 -3.78991 4.79175
C 0.43010 1.12415 4.39144
C -2.42946 7.61823 -0.88916
C -3.94397 -0.20695 -3.82745
C -1.61764 5.51987 0.12604
C 0.63082 -1.27737 4.39324
C 2.87400 0.49717 -3.19551
C 5.88117 -2.27783 3.73949
C 0.43480 2.39813 5.04637
C -0.75073 3.24474 0.32240
C 1.33460 -1.64716 -1.18507
C 1.16000 -0.56082 -4.47923
C 2.02970 -2.67705 -1.98911
C -3.26629 -1.11398 1.13513
C 4.52839 -0.84341 2.33378
C 3.46876 -0.85515 -5.09784
C 0.93003 -4.78753 5.67509
C -3.97792 -1.09829 -2.61347
C 1.51324 0.24799 -3.39650
C 3.84296 -0.04721 -4.03007
C 5.56735 -1.01921 3.24044
C -3.70696 -1.52193 -0.24413
C 4.13544 -3.20943 2.45284
C -4.94488 -4.72465 -1.89181
C -3.62397 -0.64873 -1.33597
C 0.24962 -1.24395 3.03463
C 1.77927 -4.28817 6.60905
C -0.13875 2.25811 2.29666
C -2.56494 5.30724 -0.83740
C -4.37177 -2.42670 -2.77275
C 1.23453 3.76955 -2.55520
C 3.80888 -1.96089 1.95009
C 5.16593 -3.40367 3.34351
C 2.63431 -2.06497 1.06546
C 2.12053 -1.10677 -5.32288
H 1.58427 -2.74629 -2.98057
H -0.65200 -3.02854 -2.42939
H 3.19357 1.12514 -2.36532
H -0.76959 5.56276 2.78718
H 2.11917 5.71879 -2.73899
H -4.29381 0.79288 -3.58386
H -3.58879 -0.10706 1.39038
H -2.94892 4.32180 -1.08306
H 4.28954 0.13884 1.94055
H 2.12093 3.35171 -2.08486
H -1.15937 0.57025 -3.10808
H 2.29772 -4.82190 7.39253
H -2.58813 8.65526 -1.15238
H 0.67774 2.43603 6.10292
H -0.25230 -3.99678 3.98283
H -0.38804 -3.66186 -0.77540
H -3.78028 6.56389 -2.19623
H 2.00915 -3.66224 -1.52140
H 0.10921 -0.75817 -4.67437
H 0.94927 -0.04515 6.11680
H 0.15243 -2.16609 2.47567
H 6.14394 -0.16165 3.56432
H -1.79057 -2.61817 -1.13874
H 3.06870 -2.38009 -2.12050
H 0.11561 6.71793 -3.80254
H -0.91270 3.15694 -0.73760
H 4.22087 -1.27742 -5.75324
H -4.14318 -5.43186 -1.66331
H -1.89689 2.94440 -3.52953
H 4.89195 0.16391 -3.85141
H 0.67155 -5.83679 5.59956
H -5.78236 -4.95885 -1.23143
H -4.56902 -0.62660 -4.61613
H 6.69686 -2.38355 4.44410
H 1.81654 -1.72555 -6.16004
H -2.17559 -1.11650 1.16423
H 0.07092 4.47907 4.87594
H 5.40900 -4.38853 3.72179
H -4.63684 -2.77400 -3.76834
H -5.26488 -4.90161 -2.92030
H -2.92487 -0.11382 -4.21545
H -4.24867 -3.48259 0.42397
H -1.88865 5.31874 -4.20283
H -3.63514 -1.81526 1.88649
*
```

Values from the calculation:
E: -171783.678 eV
HOMO energy (alpha / beta): -7.3 / -7.4 eV
ΔE to the lowest compared entry with this formula, charge and spin: 25.0 kcal per mole
E_LUMO (alpha / beta): -1.19 / -1.18 eV
Strongest force on any atom: 0.0253 Eh/bohr